(Assignment)
It remains to reproduce the part of the lines further down that starts with the line with "3.727," and stops after the one with "4.854,".

(Data)
~~~
[1]
For BiTeCl, a structure optimized by DFT (GGA-PBE) gives the calculated powder diffraction line list in this record (λ = 1.5418 Å (Cu Kα)).
Peak positions follow from Bragg's law for the DFT cell and can differ from measured ones.

Principal peaks in the range 2θ = 5–70°, by angle:
d 7.071, I = 96
d 3.727, I = 21
d 3.603, I = 39
d 3.297, I = 38
d 2.923, I = 100
d 2.253, I = 49
d 2.151, I = 40
d 2.058, I = 28
d 1.733, I = 22
d 1.350, I = 19

Cell and atoms:
```
6
Lattice="4.303 0.000 0.000 -2.151 3.727 0.000 0.000 0.000 14.142" Properties=species:S:1:pos:R:3 pbc="T T T"
Bi 0.000 2.484 0.000
Bi 2.151 1.242 7.071
Te 0.000 2.484 8.836
Te 2.151 1.242 1.765
Cl 0.000 0.000 5.428
Cl 0.000 0.000 12.499
```

***

[2]
For Bi3Te2Cl10, a structure optimized by DFT (GGA-PBE) gives the calculated powder diffraction line list in this record (λ = 1.5418 Å (Cu Kα)).
Peak positions follow from Bragg's law for the DFT cell and can differ from measured ones.

Principal peaks in the range 2θ = 5–70°, by angle:
d 14.628, I = 20
d 7.152, I = 18
d 6.572, I = 100
d 5.236, I = 40
d 5.106, I = 23
d 5.002, I = 25
d 4.978, I = 31
d 4.732, I = 42
d 3.414, I = 24
d 3.240, I = 26

Cell and atoms:
```
30
Lattice="7.272 0.000 0.000 -3.225 10.629 0.000 -0.378 -5.178 14.628" Properties=species:S:1:pos:R:3 pbc="T T T"
Bi 0.502 -0.938 3.546
Bi -0.025 5.819 7.689
Bi 1.223 3.531 4.725
Bi 2.446 1.920 9.903
Bi 3.694 -0.368 6.940
Bi 3.168 6.389 11.083
Te -0.750 3.594 0.146
Te -0.272 6.083 1.168
Te 3.941 -0.632 13.460
Te 4.419 1.857 14.483
Cl -2.444 6.150 8.670
Cl -0.234 1.463 3.002
Cl -0.933 4.837 4.478
Cl 1.000 -3.193 12.380
Cl -1.152 9.423 1.491
Cl 0.037 3.040 7.191
Cl -0.763 8.119 5.865
Cl 1.392 -0.167 8.709
Cl 1.633 1.028 12.289
Cl 0.828 4.765 9.984
Cl 2.841 0.686 4.645
Cl 2.036 4.423 2.340
Cl 2.277 5.618 5.920
Cl 4.432 -2.668 8.764
Cl 3.632 2.411 7.437
Cl 4.821 -3.971 13.138
Cl 2.670 8.644 2.248
Cl 4.602 0.614 10.150
Cl 3.903 3.989 11.626
Cl 6.113 -0.699 5.959
```

***

[3]
For Bi3Te2Cl10, a structure optimized by DFT (GGA-PBE) gives the calculated powder diffraction line list in this record (λ = 1.5418 Å (Cu Kα)).
Peak positions follow from Bragg's law for the DFT cell and can differ from measured ones.

Principal peaks in the range 2θ = 5–70°, by angle:
d 15.096, I = 42
d 5.635, I = 92
d 5.358, I = 73
d 4.854, I = 100
d 4.769, I = 31
d 4.310, I = 62
d 3.879, I = 37
d 3.176, I = 35
d 2.753, I = 34
d 2.169, I = 41

Cell and atoms:
```
30
Lattice="7.014 0.000 0.000 -1.609 9.861 0.000 -1.286 -1.407 15.096" Properties=species:S:1:pos:R:3 pbc="T T T"
Bi -0.765 4.192 4.054
Bi -0.541 -1.087 12.694
Bi 2.375 2.862 0.534
Bi 1.744 5.591 14.562
Bi 4.661 9.541 2.402
Bi 4.884 4.261 11.041
Te 1.437 -0.069 8.721
Te 1.002 7.390 8.244
Te 3.117 1.063 6.852
Te 2.682 8.522 6.374
Cl -1.443 8.831 4.720
Cl -1.077 1.323 13.526
Cl -1.197 6.532 10.338
Cl -0.406 3.049 9.699
Cl -0.663 5.568 13.593
Cl 1.772 0.136 0.292
Cl 1.227 2.218 2.843
Cl 0.943 4.216 5.892
Cl 1.816 5.295 1.508
Cl 1.802 -0.327 12.103
Cl 2.317 8.781 2.993
Cl 2.303 3.159 13.588
Cl 3.176 4.237 9.203
Cl 2.892 6.236 12.252
Cl 2.347 8.318 14.804
Cl 4.783 2.885 1.503
Cl 4.525 5.404 5.397
Cl 5.317 1.922 4.757
Cl 5.196 7.130 1.570
Cl 5.563 -0.378 10.375
```

***

[4]
For Bi3Te2Cl10, a structure optimized by DFT (GGA-PBE) gives the calculated powder diffraction line list in this record (λ = 1.5418 Å (Cu Kα)).
Peak positions follow from Bragg's law for the DFT cell and can differ from measured ones.

Principal peaks in the range 2θ = 5–70°, by angle:
d 14.131, I = 41
d 5.455, I = 100
d 5.165, I = 66
d 5.123, I = 50
d 4.846, I = 87
d 4.224, I = 78
d 3.886, I = 43
d 3.469, I = 58
d 2.643, I = 41
d 2.326, I = 45

Cell and atoms:
```
30
Lattice="7.496 0.000 0.000 0.297 8.961 0.000 1.697 0.493 14.131" Properties=species:S:1:pos:R:3 pbc="T T T"
Bi 0.862 0.312 2.371
Bi 2.180 4.681 10.463
Bi 4.908 7.047 13.686
Bi 4.582 2.407 0.444
Bi 7.310 4.772 3.668
Bi 8.628 9.142 11.760
Te 3.459 8.032 6.565
Te 3.781 1.654 6.022
Te 5.709 7.800 8.109
~~~

(Reply)
d 3.727, I = 21
d 3.603, I = 39
d 3.297, I = 38
d 2.923, I = 100
d 2.253, I = 49
d 2.151, I = 40
d 2.058, I = 28
d 1.733, I = 22
d 1.350, I = 19

Cell and atoms:
```
6
Lattice="4.303 0.000 0.000 -2.151 3.727 0.000 0.000 0.000 14.142" Properties=species:S:1:pos:R:3 pbc="T T T"
Bi 0.000 2.484 0.000
Bi 2.151 1.242 7.071
Te 0.000 2.484 8.836
Te 2.151 1.242 1.765
Cl 0.000 0.000 5.428
Cl 0.000 0.000 12.499
```

***

[2]
For Bi3Te2Cl10, a structure optimized by DFT (GGA-PBE) gives the calculated powder diffraction line list in this record (λ = 1.5418 Å (Cu Kα)).
Peak positions follow from Bragg's law for the DFT cell and can differ from measured ones.

Principal peaks in the range 2θ = 5–70°, by angle:
d 14.628, I = 20
d 7.152, I = 18
d 6.572, I = 100
d 5.236, I = 40
d 5.106, I = 23
d 5.002, I = 25
d 4.978, I = 31
d 4.732, I = 42
d 3.414, I = 24
d 3.240, I = 26

Cell and atoms:
```
30
Lattice="7.272 0.000 0.000 -3.225 10.629 0.000 -0.378 -5.178 14.628" Properties=species:S:1:pos:R:3 pbc="T T T"
Bi 0.502 -0.938 3.546
Bi -0.025 5.819 7.689
Bi 1.223 3.531 4.725
Bi 2.446 1.920 9.903
Bi 3.694 -0.368 6.940
Bi 3.168 6.389 11.083
Te -0.750 3.594 0.146
Te -0.272 6.083 1.168
Te 3.941 -0.632 13.460
Te 4.419 1.857 14.483
Cl -2.444 6.150 8.670
Cl -0.234 1.463 3.002
Cl -0.933 4.837 4.478
Cl 1.000 -3.193 12.380
Cl -1.152 9.423 1.491
Cl 0.037 3.040 7.191
Cl -0.763 8.119 5.865
Cl 1.392 -0.167 8.709
Cl 1.633 1.028 12.289
Cl 0.828 4.765 9.984
Cl 2.841 0.686 4.645
Cl 2.036 4.423 2.340
Cl 2.277 5.618 5.920
Cl 4.432 -2.668 8.764
Cl 3.632 2.411 7.437
Cl 4.821 -3.971 13.138
Cl 2.670 8.644 2.248
Cl 4.602 0.614 10.150
Cl 3.903 3.989 11.626
Cl 6.113 -0.699 5.959
```

***

[3]
For Bi3Te2Cl10, a structure optimized by DFT (GGA-PBE) gives the calculated powder diffraction line list in this record (λ = 1.5418 Å (Cu Kα)).
Peak positions follow from Bragg's law for the DFT cell and can differ from measured ones.

Principal peaks in the range 2θ = 5–70°, by angle:
d 15.096, I = 42
d 5.635, I = 92
d 5.358, I = 73
d 4.854, I = 100